== File ==
........
The following is a PBE+U calculation of an optimized crystal structure of Fe2SiO4, from the Alexandria database. Values from VASP.

The structure in Quantum ESPRESSO input format:
```
&SYSTEM
  ibrav = 0, nat = 28, ntyp = 3
/
ATOMIC_SPECIES
Fe 55.84 Fe.upf
Si 28.09 Si.upf
O 16.00 O.upf
CELL_PARAMETERS angstrom
4.882 0.000 0.000
0.000 6.166 0.000
-0.002 0.000 10.625
ATOMIC_POSITIONS crystal
Fe 0.000 0.000 0.000
Fe 0.000 0.500 0.000
Fe 0.012 0.250 0.721
Fe 0.486 0.250 0.221
Fe 0.500 0.000 0.500
Fe 0.500 0.500 0.500
Fe 0.514 0.750 0.779
Fe 0.988 0.750 0.279
Si 0.071 0.750 0.596
Si 0.429 0.750 0.097
Si 0.571 0.250 0.903
Si 0.929 0.250 0.404
O 0.210 0.536 0.665
O 0.210 0.750 0.453
O 0.210 0.964 0.665
O 0.235 0.250 0.908
O 0.266 0.250 0.409
O 0.288 0.537 0.166
O 0.288 0.963 0.166
O 0.289 0.750 0.953
O 0.711 0.250 0.047
O 0.712 0.037 0.834
O 0.712 0.463 0.834
O 0.734 0.750 0.591
O 0.765 0.750 0.092
O 0.790 0.036 0.335
O 0.790 0.250 0.547
O 0.790 0.464 0.335
```

Computed properties:
**E_tot**: -7.26 eV per atom
**Crystal system**: monoclinic
**Excess energy over the best structure of this formula in the dataset**: 0.000 eV/atom
**Magnetization**: 32.0 Bohr magnetons per cell
**SG**: P2_1/m (11)


The following is a PBE+U calculation of an optimized crystal structure of Fe3SiO, from the Alexandria database. Values from VASP.

The structure in Quantum ESPRESSO input format:
```
&SYSTEM
  ibrav = 0, nat = 5, ntyp = 3
/
ATOMIC_SPECIES
Fe 55.84 Fe.upf
Si 28.09 Si.upf
O 16.00 O.upf
CELL_PARAMETERS angstrom
4.181 0.000 0.000
0.000 4.181 0.000
0.000 0.000 4.181
ATOMIC_POSITIONS crystal
Fe 0.000 0.000 0.500
Fe 0.000 0.500 0.000
Fe 0.500 0.000 0.000
Si 0.500 0.500 0.500
O 0.000 0.000 0.000
```

Computed properties:
**E_tot**: -5.39 eV per atom
**Crystal system**: cubic
**Excess energy over the best structure of this formula in the dataset**: 0.000 eV/atom
**Magnetization**: 11.2 Bohr magnetons per cell
**SG**: Pm-3m (221)


The following is a PBE+U calculation of an optimized crystal structure of Fe2SiO, from the Alexandria database. Values from VASP.

The structure in Quantum ESPRESSO input format:
```
&SYSTEM
  ibrav = 0, nat = 8, ntyp = 3
/
ATOMIC_SPECIES
Fe 55.84 Fe.upf
Si 28.09 Si.upf
O 16.00 O.upf
CELL_PARAMETERS angstrom
-2.939 2.939 3.696
2.939 -2.939 3.696
2.939 2.939 -3.696
ATOMIC_POSITIONS crystal
Fe 0.046 0.125 0.421
Fe 0.375 0.954 0.079
Fe 0.704 0.625 0.579
Fe 0.875 0.296 0.921
Si 0.250 0.750 0.500
Si 0.500 0.500 0.000
O 0.000 0.000 0.000
O 0.750 0.250 0.500
```

Computed properties:
**E_tot**: -5.52 eV per atom
**Crystal system**: tetragonal
**Excess energy over the best structure of this formula in the dataset**: 0.000 eV/atom
**Magnetization**: 14.7 Bohr magnetons per cell
**SG**: I-42d (122)


The following is a PBE+U calculation of an optimized crystal structure of FeSiO3, from the Alexandria database. Values from VASP.

The structure in Quantum ESPRESSO input format:
```
&SYSTEM
  ibrav = 0, nat = 80, ntyp = 3
/
ATOMIC_SPECIES
Fe 55.84 Fe.upf
Si 28.09 Si.upf
O 16.00 O.upf
CELL_PARAMETERS angstrom
5.322 0.000 0.000
0.000 18.692 0.000
0.000 0.000 9.207
ATOMIC_POSITIONS crystal
Fe 0.122 0.124 0.154
Fe 0.122 0.376 0.654
Fe 0.127 0.123 0.512
Fe 0.127 0.377 0.012
Fe 0.373 0.623 0.512
Fe 0.373 0.877 0.012
Fe 0.378 0.624 0.154
Fe 0.378 0.876 0.654
Fe 0.622 0.124 0.346
Fe 0.622 0.376 0.846
Fe 0.627 0.123 0.988
Fe 0.627 0.377 0.488
Fe 0.873 0.623 0.988
Fe 0.873 0.877 0.488
Fe 0.878 0.624 0.346
Fe 0.878 0.876 0.846
Si 0.055 0.727 0.662
Si 0.055 0.773 0.162
Si 0.216 0.026 0.834
Si 0.216 0.474 0.334
Si 0.284 0.526 0.834
Si 0.284 0.974 0.334
Si 0.445 0.227 0.662
Si 0.445 0.273 0.162
Si 0.555 0.727 0.838
Si 0.555 0.773 0.338
Si 0.716 0.026 0.666
Si 0.716 0.474 0.166
Si 0.784 0.526 0.666
Si 0.784 0.974 0.166
Si 0.945 0.227 0.838
Si 0.945 0.273 0.338
O 0.042 0.686 0.160
O 0.042 0.814 0.660
O 0.059 0.687 0.506
O 0.059 0.813 0.006
O 0.078 0.551 0.706
O 0.078 0.949 0.206
O 0.173 0.198 0.732
O 0.173 0.302 0.232
O 0.196 0.567 0.981
........

== To do ==
Restate the lines above up to the one that holds "tetragonal", that line included.

== Completed ==
The following is a PBE+U calculation of an optimized crystal structure of Fe2SiO4, from the Alexandria database. Values from VASP.

The structure in Quantum ESPRESSO input format:
```
&SYSTEM
  ibrav = 0, nat = 28, ntyp = 3
/
ATOMIC_SPECIES
Fe 55.84 Fe.upf
Si 28.09 Si.upf
O 16.00 O.upf
CELL_PARAMETERS angstrom
4.882 0.000 0.000
0.000 6.166 0.000
-0.002 0.000 10.625
ATOMIC_POSITIONS crystal
Fe 0.000 0.000 0.000
Fe 0.000 0.500 0.000
Fe 0.012 0.250 0.721
Fe 0.486 0.250 0.221
Fe 0.500 0.000 0.500
Fe 0.500 0.500 0.500
Fe 0.514 0.750 0.779
Fe 0.988 0.750 0.279
Si 0.071 0.750 0.596
Si 0.429 0.750 0.097
Si 0.571 0.250 0.903
Si 0.929 0.250 0.404
O 0.210 0.536 0.665
O 0.210 0.750 0.453
O 0.210 0.964 0.665
O 0.235 0.250 0.908
O 0.266 0.250 0.409
O 0.288 0.537 0.166
O 0.288 0.963 0.166
O 0.289 0.750 0.953
O 0.711 0.250 0.047
O 0.712 0.037 0.834
O 0.712 0.463 0.834
O 0.734 0.750 0.591
O 0.765 0.750 0.092
O 0.790 0.036 0.335
O 0.790 0.250 0.547
O 0.790 0.464 0.335
```

Computed properties:
**E_tot**: -7.26 eV per atom
**Crystal system**: monoclinic
**Excess energy over the best structure of this formula in the dataset**: 0.000 eV/atom
**Magnetization**: 32.0 Bohr magnetons per cell
**SG**: P2_1/m (11)


The following is a PBE+U calculation of an optimized crystal structure of Fe3SiO, from the Alexandria database. Values from VASP.

The structure in Quantum ESPRESSO input format:
```
&SYSTEM
  ibrav = 0, nat = 5, ntyp = 3
/
ATOMIC_SPECIES
Fe 55.84 Fe.upf
Si 28.09 Si.upf
O 16.00 O.upf
CELL_PARAMETERS angstrom
4.181 0.000 0.000
0.000 4.181 0.000
0.000 0.000 4.181
ATOMIC_POSITIONS crystal
Fe 0.000 0.000 0.500
Fe 0.000 0.500 0.000
Fe 0.500 0.000 0.000
Si 0.500 0.500 0.500
O 0.000 0.000 0.000
```

Computed properties:
**E_tot**: -5.39 eV per atom
**Crystal system**: cubic
**Excess energy over the best structure of this formula in the dataset**: 0.000 eV/atom
**Magnetization**: 11.2 Bohr magnetons per cell
**SG**: Pm-3m (221)


The following is a PBE+U calculation of an optimized crystal structure of Fe2SiO, from the Alexandria database. Values from VASP.

The structure in Quantum ESPRESSO input format:
```
&SYSTEM
  ibrav = 0, nat = 8, ntyp = 3
/
ATOMIC_SPECIES
Fe 55.84 Fe.upf
Si 28.09 Si.upf
O 16.00 O.upf
CELL_PARAMETERS angstrom
-2.939 2.939 3.696
2.939 -2.939 3.696
2.939 2.939 -3.696
ATOMIC_POSITIONS crystal
Fe 0.046 0.125 0.421
Fe 0.375 0.954 0.079
Fe 0.704 0.625 0.579
Fe 0.875 0.296 0.921
Si 0.250 0.750 0.500
Si 0.500 0.500 0.000
O 0.000 0.000 0.000
O 0.750 0.250 0.500
```

Computed properties:
**E_tot**: -5.52 eV per atom
**Crystal system**: tetragonal